Entries.
No. 1
VASP calculation (GGA-PBE) on crystalline Pr6Ga3Au at its relaxed geometry.

Cell lengths 7.5115, 8.3569, 12.2942 Å; angles 90.00, 127.36, 90.00 degrees
Last column: nearest neighbours and their distance in Å.
Space group P2_1/c (No. 14)
Symmetry-distinct sites (fractional):
Pr 0.0342 0.0932 0.2485 (multiplicity 4)  3 Ga 3.01-3.15, 1 Au 3.05
Pr 0.2164 0.6730 0.0633 (multiplicity 4)  3 Ga 3.03-3.29, 1 Au 3.04
Pr 0.4124 0.1765 0.0705 (multiplicity 4)  1 Au 3.03, 3 Ga 3.04-3.24
Ga 0.0000 0.0000 0.0000 (multiplicity 2)  6 Pr 3.01-3.04
Ga 0.3105 0.1249 0.7536 (multiplicity 4)  6 Pr 3.12-3.29
Au 0.5000 0.0000 0.5000 (multiplicity 2)  6 Pr 3.03-3.05

Results
The calculation puts the final energy at -89.04 eV/cell. For the spin magnetization, the calculation gives 0.0 μB/cell. The crystal system is monoclinic. The density of states at the Fermi level is 20.527 states/eV/cell.

=====

No. 2
VASP calculation (GGA-PBE) on crystalline Pr3Ga3Au at its relaxed geometry.

Cell lengths 11.0658, 4.5682, 15.0473 Å; angles 90.00, 111.57, 90.00 degrees
Last column: nearest neighbours and their distance in Å.
Space group C2/m (No. 12)
Symmetry-distinct sites (fractional):
Pr 0.0417 0.0000 0.3806 (multiplicity 4)  7 Ga 3.19-3.44, 4 Au 3.21-3.37
Pr 0.1086 0.0000 0.9276 (multiplicity 4)  7 Ga 3.20-3.27
Pr 0.2419 0.0000 0.2298 (multiplicity 4)  6 Ga 3.19-3.27, 2 Au 3.30
Ga 0.0282 0.5000 0.2253 (multiplicity 4)  1 Ga 2.66, 1 Au 2.78
Ga 0.1053 0.5000 0.0777 (multiplicity 4)  2 Ga 2.63-2.66
Ga 0.1275 0.5000 0.5393 (multiplicity 4)  1 Ga 2.63, 2 Au 2.67
Au 0.2496 0.0000 0.6101 (multiplicity 4)  3 Ga 2.67-2.78

Results
The calculation puts the final energy at -125.12 eV/cell. For the spin magnetization, the calculation gives 0.0 μB/cell. The crystal system is monoclinic. The density of states at the Fermi level is 19.803 states/eV/cell.

=====

No. 3
VASP calculation (GGA-PBE) on crystalline Pr2GaAu at its relaxed geometry.

Cell lengths 3.6954, 3.6954, 7.6555 Å; angles 90.00, 90.00, 90.00 degrees
Last column: nearest neighbours and their distance in Å.
Space group P4/mmm (No. 123)
Symmetry-distinct sites (fractional):
Pr 0.0000 0.0000 0.2482 (multiplicity 2)  4 Ga 3.23, 4 Au 3.25
Ga 0.5000 0.5000 0.0000 (multiplicity 1)  8 Pr 3.23
Au 0.5000 0.5000 0.5000 (multiplicity 1)  8 Pr 3.25

Results
The calculation puts the final energy at -18.41 eV/cell. For the spin magnetization, the calculation gives 0.0 μB/cell. The crystal system is tetragonal. The density of states at the Fermi level is 3.794 states/eV/cell.

=====

No. 4
VASP calculation (GGA-PBE) on crystalline PrGa3Au3 at its relaxed geometry.

Cell lengths 9.1020, 9.1020, 4.8223 Å; angles 90.00, 90.00, 120.00 degrees
Last column: nearest neighbours and their distance in Å.
Space group P6_3/m (No. 176)
Symmetry-distinct sites (fractional):
Pr 0.3333 0.6667 0.2500 (multiplicity 2)  3 Ga 3.21, 9 Au 3.40-3.45
Ga 0.0308 0.6725 0.7500 (multiplicity 6)  4 Au 2.51-2.70
Au 0.0741 0.3996 0.7500 (multiplicity 6)  4 Ga 2.51-2.70

Results
The calculation puts the final energy at -52.83 eV/cell. For the spin magnetization, the calculation gives 0.0 μB/cell. The crystal system is hexagonal. The density of states at the Fermi level is 5.023 states/eV/cell.

=====

No. 5
VASP calculation (GGA-PBE) on crystalline Pr5Ga4Au at its relaxed geometry.

Cell lengths 3.7088, 3.7088, 18.8730 Å; angles 90.00, 90.00, 90.00 degrees
Last column: nearest neighbours and their distance in Å.
Space group P4/mmm (No. 123)
Symmetry-distinct sites (fractional):
Pr 0.0000 0.0000 0.0000 (multiplicity 1)  8 Ga 3.22
Pr 0.0000 0.0000 0.1984 (multiplicity 2)  8 Ga 3.23-3.24
Pr 0.0000 0.0000 0.3974 (multiplicity 2)  4 Ga 3.21, 4 Au 3.26
Ga 0.5000 0.5000 0.0989 (multiplicity 2)  8 Pr 3.22-3.23
Ga 0.5000 0.5000 0.2990 (multiplicity 2)  8 Pr 3.21-3.24
Au 0.5000 0.5000 0.5000 (multiplicity 1)  8 Pr 3.26

Results
Wanted.
What is needed: say how many lines of the lines above hold the word "crystal", as a bare number.
Completed.
4